December 28, 2014 on the ice rink…friends building with snow, skating, sliding, tree-climbing, shovelling.
This “Diary of an Ice Rink” can be read backwards, starting with today and reading down the page until January 1st – the date I started it. Or, if you are not a backwards sort of person, you can scroll down, begin with January 1, and move UP the page. I hope to continue adding entries now and again until Spring Thaw.
White on White (January 20, 2015)
It is a “misty moisty” day, white on white, edges blurred and soft. We marvel at the marks our blades make on the freshly fallen snow.
January 19, 2015

Shane is at the far left sailing with his jacket out in the balmy wind. Jessie, Missy, Marina and Gatty are riding home. Just before sunset.
The weather has become milder bringing more skaters and snow fort builders to the ice rink. Here are some pictures from the last two weekends.
Galaxies Above, Galaxies Below (January 14, 2015)
The wind has been still these past few days making for wonderful skating. I begin to regain the rhythm of skating, the joy of swaying from one side to the other, the pleasure of gliding. Yesterday, Shane and I skated arm in arm…right, left….right , left….It took some adjusting as he is long-legged and I am not but when we were in sync it was wonderful.
This morning, the light of the moon woke me at about 5:30 a.m. The previous night we had donned our winter wear to look at the night sky; alas clouds had moved in. Sometime in the wee hours, those clouds brought a light skiff of the softest snow. When I make my way out to the ice rink, I can see a little by the glow of the moon. I feel my way more than usual , with my feet, as I search for the path. I feel my way with my skate blades as I make the first marks in the fresh snow on the ice. I listen to the scrape as the blades move across the ice. the ice is speaking – it can feel the warming temperatures and it is adjusting under my feet. Up in the sky, I can see Ursa Major, and Saturn and Venus but the eastern sky is lightening into an aqua and these bright lights are dimming.
Back inside, I am working on a watercolour. It might be entitled “Skating on the Milky Way”. The part I am working on now shows the beauty of the ice, shows skaters looking down to see the mysterious and swirling Milky Way in the deep ice beneath their skates. Looking down at the Milky Way has inspired me to also look up at the Milky Way and to learn something about the night sky. I begin with Orion, the Hunter and at grateful to see it first in the East and in the middle of the night, there it is high in the South sky. Orion’s belt is brilliant. My painting will have the skaters on the ice underneath the night sky. For the next few weeks, I will be looking up…before I go to bed, when I wake in the middle of the night, when I rise in the morning. Galaxies above, galaxies below. All just outside my very own back door.
North by Northwest – Gifts of a January Gale (January 9, 2015)
Yesterdays wind, a north by northwesterly was reported moving between 50 and 75 kilometres an hour. I tried to take pictures, but it was a challenge. You could almost watch drifts form in seconds. Shane, who did not try to take pictures (smart guy), observed that a lump of snow on the ice would catch more snow as the wind whipped it along and eventually this lump would get heavy enough to be moved by the wind. Here are some of the pictures I did get.
After my foray into the ferocious wind, I decided that inside looking out was my desired location! Smokey the Cat agreed.
Today the north by northwest gale left behind so many beautiful gifts. (No pictures have been altered.) Here are some.
Ice Squeaks, really it does! (January 8, 2015)
Yesterday, another very cold day, we went for a morning skate just as the sun was beginning to touch the ice rink. It was so cold, that the ice squeaked as the steel blades of our skates moved across it. The ice has many different songs.
'''
Here is a geometry-optimized Na2ScNbSiP2O12 structure from Materials Project. Energies are from PBE.

Computed properties:
SG: Cc (9)
Total moment in μB per formula unit: 0.0
E in eV/atom: -7.550
Formation energy from the elements in eV per atom: -2.999

CIF file:
```
data_Na2ScNbSiP2O12
_chemical_formula_sum 'Na12 Sc6 Nb6 Si6 P12 O72'
_cell_length_a 8.955
_cell_length_b 8.955
_cell_length_c 22.851
_cell_angle_alpha 90.02
_cell_angle_beta 90.02
_cell_angle_gamma 60.28
_symmetry_space_group_name_H-M 'P 1'
_symmetry_Int_Tables_number 1
loop_
_symmetry_equiv_pos_as_xyz
'x,y,z'
loop_
_atom_site_label
_atom_site_type_symbol
_atom_site_fract_x
_atom_site_fract_y
_atom_site_fract_z
_atom_site_occupancy
Na1 Na 0.000 0.000 0.000 1
Na2 Na 0.000 0.000 0.500 1
Na3 Na 0.308 0.652 0.588 1
Na4 Na 0.320 0.700 0.918 1
Na5 Na 0.329 0.334 0.166 1
Na6 Na 0.334 0.329 0.666 1
Na7 Na 0.365 0.986 0.754 1
Na8 Na 0.652 0.308 0.088 1
Na9 Na 0.652 0.679 0.333 1
Na10 Na 0.679 0.652 0.833 1
Na11 Na 0.700 0.320 0.418 1
Na12 Na 0.986 0.365 0.254 1
Sc1 Sc 0.321 0.328 0.024 1
Sc2 Sc 0.328 0.321 0.524 1
Sc3 Sc 0.655 0.664 0.190 1
Sc4 Sc 0.664 0.655 0.690 1
Sc5 Sc 0.997 0.999 0.857 1
Sc6 Sc 0.999 0.997 0.357 1
Nb1 Nb 0.330 0.333 0.818 1
Nb2 Nb 0.333 0.330 0.318 1
Nb3 Nb 0.657 0.672 0.985 1
Nb4 Nb 0.672 0.657 0.485 1
Nb5 Nb 0.991 0.999 0.651 1
Nb6 Nb 0.999 0.991 0.151 1
Si1 Si 0.041 0.327 0.421 1
Si2 Si 0.288 0.704 0.755 1
Si3 Si 0.327 0.041 0.921 1
Si4 Si 0.369 0.663 0.088 1
Si5 Si 0.663 0.369 0.588 1
Si6 Si 0.704 0.288 0.255 1
P1 P 0.038 0.618 0.922 1
P2 P 0.288 0.996 0.255 1
P3 P 0.328 0.622 0.424 1
P4 P 0.374 0.953 0.590 1
P5 P 0.618 0.038 0.422 1
P6 P 0.622 0.328 0.924 1
P7 P 0.665 0.953 0.089 1
P8 P 0.706 0.998 0.756 1
P9 P 0.953 0.374 0.090 1
P10 P 0.953 0.665 0.589 1
P11 P 0.996 0.288 0.755 1
P12 P 0.998 0.706 0.256 1
O1 O 0.017 0.797 0.913 1
O2 O 0.025 0.796 0.200 1
O3 O 0.026 0.166 0.701 1
O4 O 0.131 0.356 0.362 1
O5 O 0.132 0.500 0.866 1
O6 O 0.133 0.347 0.083 1
O7 O 0.136 0.515 0.581 1
O8 O 0.154 0.307 0.477 1
O9 O 0.154 0.538 0.975 1
O10 O 0.164 0.800 0.696 1
O11 O 0.165 0.522 0.260 1
O12 O 0.166 0.026 0.201 1
O13 O 0.171 0.291 0.760 1
O14 O 0.172 0.997 0.917 1
O15 O 0.173 0.799 0.415 1
O16 O 0.180 0.841 0.095 1
O17 O 0.194 0.959 0.594 1
O18 O 0.201 0.819 0.813 1
O19 O 0.204 0.973 0.310 1
O20 O 0.291 0.171 0.260 1
O21 O 0.304 0.512 0.762 1
O22 O 0.307 0.154 0.977 1
O23 O 0.310 0.538 0.479 1
O24 O 0.347 0.133 0.583 1
O25 O 0.355 0.492 0.081 1
O26 O 0.356 0.131 0.862 1
O27 O 0.362 0.497 0.369 1
O28 O 0.466 0.692 0.029 1
O29 O 0.466 0.831 0.536 1
O30 O 0.468 0.846 0.248 1
O31 O 0.474 0.692 0.749 1
O32 O 0.475 0.874 0.646 1
O33 O 0.492 0.355 0.581 1
O34 O 0.494 0.630 0.143 1
O35 O 0.497 0.362 0.869 1
O36 O 0.500 0.132 0.366 1
O37 O 0.500 0.630 0.427 1
O38 O 0.508 0.845 0.928 1
O39 O 0.512 0.304 0.262 1
O40 O 0.515 0.136 0.081 1
O41 O 0.522 0.165 0.760 1
O42 O 0.538 0.154 0.475 1
O43 O 0.538 0.310 0.979 1
O44 O 0.627 0.861 0.427 1
O45 O 0.630 0.494 0.643 1
'''
== The entry goes on ==
Harvesting Icicles (January 7, 2015)
About Shovelling (January 6, 2015)
Yesterday, my friend Linda wrote, “I seldom love to shovel. But I know the feeling of accomplishment that comes from shovelling”. Many of us typically shovel the lane or the walk – underneath the snow is concrete or stones or gravel. We shovel because we need to go somewhere. Perhaps this what makes shovelling the ice rink more pleasurable – underneath the snow is ice, beautiful ice, which shifts and changes every day. I only shovel because I want to. After I shovel, I sometimes sweep – this allows the North Wind the best possible chance to scour and polish the ice below. It is fun to sweep ice – I imagine that it is my kitchen floor. I imagine that I am sweeping the Milky Way…… dark and wondrous and ever changing beneath me. I imagine I am dancing on ice – that an orchestra is playing just beyond the willow.
The Deep Cold (January 5, 2015)
These are the days I especially don’t listen to the radio. Instead I bundle up – three layers- and out I go. I like to visit the ice rink in the dark, which is easy since I am a morning person and the sun is rising so late. Today Venus was shining above a setting full moon. I don’t skate on these really cold days. Instead I shovel, I tend to the rink, I get to know it better. Shovelling gives me deep pleasure and satisfaction. I like how it uses so many parts of my body. I like the rhythm of shovelling. I like seeing the patterns the shovel makes when I have cleared some snow. Through experience I have learned how to shovel (and so avoid tennis elbow) and I have learned which shovel is best for which kind of snow.
My body tells me how cold it is. My most vulnerable place – the tips of my fingers and thumbs. I learn that you can shovel without your thumbs. My thumbs are happier keeping warm with my fingers. I learn that as my body warms with the exertion of the shovelling, my fingers and thumbs warm up at the same time. Soon I am quite toasty. When I come in, I drink about a litre of water!!
The Big Snow (January 2, 2015)
This is how the ice rink looked before the Big Snow came. 15 to 20 centimetres of it. The North Wind had polished and scoured the ice pulling my eyes towards my feet as I skated. Sometimes I felt as if I was skating on the Milky Way!
Then the Big Snow came!! The day before the Big Snow, i sneezed twelve times in a row and began to feel a chill deep in my body. I took to the couch nestled under a big blanket, with a book, and hot cup of fresh ginger and lemon. I stayed on the couch for two days feeling the pull of the ice rink all the while but nestling deeper into my couch home. It worked! The cold that almost came did not and on day 3 I was up and at her!!
January 1, 2015
-- begin --
Record 1
Density functional theory data (PBE) for crystalline Ba3Ga3P5 at its relaxed geometry.

Cell: 14.7661 14.7661 29.1602 Å, 90.00 90.00 120.00°
Space group R-3c (No. 167, hexagonal axes)
Inequivalent atoms, fractional coordinates:
Ba (0.0000, 0.0000, 0.1012) [12 per cell]
Ba (0.0000, 0.0000, 0.2500) [6 per cell]
Ba (0.0230, 0.4687, 0.3280) [36 per cell]
Ga (0.0000, 0.2706, 0.2500) [18 per cell]
Ga (0.0345, 0.4741, 0.0491) [36 per cell]
P (0.0000, 0.3745, 0.7500) [18 per cell]
P (0.0412, 0.2252, 0.9304) [36 per cell]
P (0.0659, 0.2015, 0.3113) [36 per cell]

Calculated values
Calculated volume ... 27.81 Å³/atom
Electronic total energy ... -4.580 eV/atom

---

Record 2
Density functional theory data (PBE) for crystalline Tl3CoCl5 at its relaxed geometry.

Cell: 8.590 8.590 14.572 Å, 90.00 90.00 90.00°
Space group I4/mcm (No. 140)
Inequivalent atoms, fractional coordinates:
Tl (0.000, 0.000, 0.250) [4 per cell]
Tl (0.164, 0.336, 0.000) [8 per cell]
Co (0.000, 0.500, 0.250) [4 per cell]
Cl (0.000, 0.000, 0.000) [4 per cell]
Cl (0.147, 0.353, 0.344) [16 per cell]

Calculated values
Calculated volume ... 29.87 Å³/atom
Electronic total energy ... -3.495 eV/atom

---

Record 3
Density functional theory data (PBE) for crystalline ZnBi2P2O9 at its relaxed geometry.

Cell: 15.769 7.119 7.475 Å, 90.00 90.00 90.00°
Space group Pnma (No. 62)
Inequivalent atoms, fractional coordinates:
Zn (0.243, 0.250, 0.039) [4 per cell]
Bi (0.000, 0.000, 0.000) [4 per cell]
Bi (0.120, 0.250, 0.602) [4 per cell]
P (0.089, 0.750, 0.616) [4 per cell]
P (0.189, 0.750, 0.115) [4 per cell]
O (0.031, 0.750, 0.454) [4 per cell]
O (0.033, 0.750, 0.791) [4 per cell]
O (0.076, 0.250, 0.882) [4 per cell]
O (0.136, 0.566, 0.125) [8 per cell]
O (0.152, 0.580, 0.619) [8 per cell]
O (0.245, 0.250, 0.779) [4 per cell]
O (0.248, 0.750, 0.951) [4 per cell]

Calculated values
Calculated volume ... 14.98 Å³/atom
Electronic total energy ... -6.324 eV/atom

---

Record 4
Density functional theory data (PBE) for crystalline Ag7AsSe6 at its relaxed geometry.

Cell: 11.051 11.051 11.051 Å, 90.00 90.00 90.00°
Space group P2_13 (No. 198)
Inequivalent atoms, fractional coordinates:
Ag (0.010, 0.224, 0.518) [12 per cell]
Ag (0.073, 0.604, 0.227) [12 per cell]
Ag (0.151, 0.849, 0.349) [4 per cell]
As (0.249, 0.249, 0.249) [4 per cell]
Se (0.016, 0.984, 0.484) [4 per cell]
Se (0.121, 0.379, 0.362) [12 per cell]
Se (0.124, 0.124, 0.124) [4 per cell]
Se (0.216, 0.284, 0.716) [4 per cell]

Calculated values
Calculated volume ... 24.10 Å³/atom
Electronic total energy ... -3.324 eV/atom

---

Record 5
Density functional theory data (PBE) for crystalline LaAgO3 at its relaxed geometry.

Cell: 5.9308 5.9308 13.7871 Å, 90.00 90.00 120.00°
Space group R3c (No. 161, hexagonal axes)
Inequivalent atoms, fractional coordinates:
La (0.0000, 0.0000, 0.0000) [6 per cell]
Ag (0.0000, 0.0000, 0.2398) [6 per cell]
O (0.0701, 0.3443, 0.3174) [18 per cell]

Calculated values
Calculated volume ... 14.00 Å³/atom
-- stop --
I come down before daybreak, the growing moon is well behind cloud cover, so there is little light and yet, it is not completely dark. Yesterday a strong Northwest wind scoured and polished the rink. This morning there is a sugar dusting of snow. It is mild, too much wind to light an ice lantern, but not nearly as windy as yesterday.
This reminds me of an anecdote my friend Mary Love told me:
An Elder in the U.S. Southwest would go out of his home every morning
to see what the weather was like. After greeting the sun, he would say,
“Every day is a good day as long as we adjust ourselves to the day.”
This is how I like to get my weather report. My winter rule – do not listen to CBC Radio before going outside! Go and see and feel for yourself. Bundle up. If it is really cold I will just be out for a few minutes. If not, I enjoy the winter dawn for as long as I like.